Brief:
Repeat the rows underneath from the line with "0.0000 0.2143" to the end verbatim.

Entries:
<<<
(1)
For Cs2TbAs2, a structure optimized by DFT (PBE) gives the computed X-ray powder pattern in this record (Cu Kα X-rays).
Intensities are scaled so that the largest is 100.

Main lines, sorted by position (10° ≤ 2θ ≤ 90°):
(1 1 0), 2θ 12.6, d 7.041, I 47.1; (1 3 0), 2θ 21.2, d 4.192, I 97.5; (2 1 1), 2θ 25.9, d 3.443, I 100.0; (1 1 2), 2θ 26.7, d 3.336, I 49.2; (1 4 1), 2θ 29.1, d 3.065, I 53.8; (0 4 2), 2θ 33.9, d 2.643, I 71.9

Atomic structure:
Cell: 8.0112 14.7583 7.5761 Å, 90.00 90.00 90.00°
Space group Ibam (No. 72)
One atom of each set of equivalent atoms:
Cs 0.1441 0.1556 0.0000 x8
Tb 0.0000 0.5000 0.2500 x4
As 0.1886 0.4020 0.0000 x8



(2)
For Pr2HoMg4In2, a structure optimized by DFT (PBE) gives the computed X-ray powder pattern in this record (Cu Kα X-rays).
Intensities are scaled so that the largest is 100.

Main lines, sorted by position (10° ≤ 2θ ≤ 90°):
(0 1 1), 2θ 13.2, d 6.694, I 61.3; (1 0 2), 2θ 29.7, d 3.013, I 42.7; (1 3 1), 2θ 29.9, d 2.985, I 100.0; (1 2 2), 2θ 32.7, d 2.740, I 89.0; (1 4 0), 2θ 33.0, d 2.712, I 48.1; (2 0 0), 2θ 37.7, d 2.386, I 36.9

Atomic structure:
Cell: 4.7719 13.1860 7.7700 Å, 90.00 90.00 90.00°
Space group Amm2 (No. 38)
One atom of each set of equivalent atoms:
Pr 0.0000 0.2143 0.0000 x4
Ho 0.0000 0.0000 0.3499 x2
Mg 0.0000 0.0000 0.7727 x2
Mg 0.5000 0.0000 0.0232 x2
Mg 0.5000 0.1220 0.6600 x4
In 0.5000 0.1627 0.2861 x4



(3)
For Tb2YSn3Pb4, a structure optimized by DFT (PBE) gives the computed X-ray powder pattern in this record (Cu Kα X-rays).
Intensities are scaled so that the largest is 100.

Main lines, sorted by position (10° ≤ 2θ ≤ 90°):
(1 5 1), 2θ 32.6, d 2.746, I 100.0; (0 10 0), 2θ 33.5, d 2.679, I 20.1; (0 0 2), 2θ 39.4, d 2.287, I 15.8; (2 0 0), 2θ 40.3, d 2.236, I 15.0; (1 15 1), 2θ 59.3, d 1.559, I 12.3; (1 5 3), 2θ 67.2, d 1.394, I 12.9

Atomic structure:
Cell: 4.4726 26.7856 4.5743 Å, 90.00 90.00 90.00°
Space group Cmmm (No. 65)
One atom of each set of equivalent atoms:
Tb 0.0000 0.1891 0.0000 x4
Y 0.0000 0.5000 0.5000 x2
Sn 0.0000 0.0000 0.0000 x2
Sn 0.0000 0.4046 0.0000 x4
Pb 0.0000 0.0966 0.5000 x4
Pb 0.0000 0.2912 0.5000 x4



(4)
For Er4Pd3Pt, a structure optimized by DFT (PBE) gives the computed X-ray powder pattern in this record (Cu Kα X-rays).
Intensities are scaled so that the largest is 100.

Main lines, sorted by position (10° ≤ 2θ ≤ 90°):
(1 1 -1), 2θ 28.5, d 3.131, I 34.0; (0 1 2), 2θ 32.6, d 2.746, I 76.7; (2 0 1), 2θ 35.0, d 2.561, I 55.6; (1 1 2), 2θ 36.6, d 2.458, I 100.0; (0 2 0), 2θ 39.5, d 2.280, I 54.2; (2 1 -1), 2θ 40.4, d 2.233, I 77.1

Atomic structure:
Cell: 5.5185 4.5593 6.8796 Å, 90.00 90.13 90.00°
Space group Pm (No. 6)
One atom of each set of equivalent atoms:
Er 0.0000 0.0000 0.0000 x1
Er 0.2053 0.0000 0.5071 x1
Er 0.4943 0.5000 0.1379 x1
Er 0.7080 0.5000 0.6390 x1
Pd 0.0051 0.5000 0.2777 x1
Pd 0.5127 0.0000 0.8654 x1
Pd 0.6964 0.0000 0.3607 x1
Pt 0.1963 0.5000 0.7779 x1



(5)
For ThMg, a structure optimized by DFT (PBE) gives the computed X-ray powder pattern in this record (Cu Kα X-rays).
Intensities are scaled so that the largest is 100.

Main lines, sorted by position (10° ≤ 2θ ≤ 90°):
(1 0 0), 2θ 12.7, d 6.945, I 100.0; (1 1 1), 2θ 25.4, d 3.505, I 61.2; (2 1 0), 2θ 29.8, d 2.999, I 31.3; (0 0 2), 2θ 32.2, d 2.777, I 38.9; (2 1 1), 2θ 34.0, d 2.639, I 90.9; (0 2 1), 2θ 34.2, d 2.621, I 58.8

Atomic structure:
Cell: 6.9454 5.9461 5.5548 Å, 90.00 90.00 90.00°
Space group Pbcm (No. 57)
One atom of each set of equivalent atoms:
Th 0.1267 0.0972 0.2500 x4
Mg 0.3811 0.5980 0.2500 x4



(6)
For Tm10Al3Co, a structure optimized by DFT (PBE) gives the computed X-ray powder pattern in this record (Cu Kα X-rays).
Intensities are scaled so that the largest is 100.

Main lines, sorted by position (10° ≤ 2θ ≤ 90°):
(2 1 0), 2θ 29.2, d 3.054, I 44.0; (1 0 3), 2θ 30.5, d 2.934, I 40.7; (3 0 1), 2θ 34.6, d 2.590, I 55.1; (2 1 2), 2θ 35.0, d 2.564, I 100.0; (2 0 3), 2θ 36.2, d 2.484, I 32.6; (3 2 3), 2θ 57.7, d 1.597, I 37.1
>>>

Solution:
Pr 0.0000 0.2143 0.0000 x4
Ho 0.0000 0.0000 0.3499 x2
Mg 0.0000 0.0000 0.7727 x2
Mg 0.5000 0.0000 0.0232 x2
Mg 0.5000 0.1220 0.6600 x4
In 0.5000 0.1627 0.2861 x4



(3)
For Tb2YSn3Pb4, a structure optimized by DFT (PBE) gives the computed X-ray powder pattern in this record (Cu Kα X-rays).
Intensities are scaled so that the largest is 100.

Main lines, sorted by position (10° ≤ 2θ ≤ 90°):
(1 5 1), 2θ 32.6, d 2.746, I 100.0; (0 10 0), 2θ 33.5, d 2.679, I 20.1; (0 0 2), 2θ 39.4, d 2.287, I 15.8; (2 0 0), 2θ 40.3, d 2.236, I 15.0; (1 15 1), 2θ 59.3, d 1.559, I 12.3; (1 5 3), 2θ 67.2, d 1.394, I 12.9

Atomic structure:
Cell: 4.4726 26.7856 4.5743 Å, 90.00 90.00 90.00°
Space group Cmmm (No. 65)
One atom of each set of equivalent atoms:
Tb 0.0000 0.1891 0.0000 x4
Y 0.0000 0.5000 0.5000 x2
Sn 0.0000 0.0000 0.0000 x2
Sn 0.0000 0.4046 0.0000 x4
Pb 0.0000 0.0966 0.5000 x4
Pb 0.0000 0.2912 0.5000 x4



(4)
For Er4Pd3Pt, a structure optimized by DFT (PBE) gives the computed X-ray powder pattern in this record (Cu Kα X-rays).
Intensities are scaled so that the largest is 100.

Main lines, sorted by position (10° ≤ 2θ ≤ 90°):
(1 1 -1), 2θ 28.5, d 3.131, I 34.0; (0 1 2), 2θ 32.6, d 2.746, I 76.7; (2 0 1), 2θ 35.0, d 2.561, I 55.6; (1 1 2), 2θ 36.6, d 2.458, I 100.0; (0 2 0), 2θ 39.5, d 2.280, I 54.2; (2 1 -1), 2θ 40.4, d 2.233, I 77.1

Atomic structure:
Cell: 5.5185 4.5593 6.8796 Å, 90.00 90.13 90.00°
Space group Pm (No. 6)
One atom of each set of equivalent atoms:
Er 0.0000 0.0000 0.0000 x1
Er 0.2053 0.0000 0.5071 x1
Er 0.4943 0.5000 0.1379 x1
Er 0.7080 0.5000 0.6390 x1
Pd 0.0051 0.5000 0.2777 x1
Pd 0.5127 0.0000 0.8654 x1
Pd 0.6964 0.0000 0.3607 x1
Pt 0.1963 0.5000 0.7779 x1



(5)
For ThMg, a structure optimized by DFT (PBE) gives the computed X-ray powder pattern in this record (Cu Kα X-rays).
Intensities are scaled so that the largest is 100.

Main lines, sorted by position (10° ≤ 2θ ≤ 90°):
(1 0 0), 2θ 12.7, d 6.945, I 100.0; (1 1 1), 2θ 25.4, d 3.505, I 61.2; (2 1 0), 2θ 29.8, d 2.999, I 31.3; (0 0 2), 2θ 32.2, d 2.777, I 38.9; (2 1 1), 2θ 34.0, d 2.639, I 90.9; (0 2 1), 2θ 34.2, d 2.621, I 58.8

Atomic structure:
Cell: 6.9454 5.9461 5.5548 Å, 90.00 90.00 90.00°
Space group Pbcm (No. 57)
One atom of each set of equivalent atoms:
Th 0.1267 0.0972 0.2500 x4
Mg 0.3811 0.5980 0.2500 x4



(6)
For Tm10Al3Co, a structure optimized by DFT (PBE) gives the computed X-ray powder pattern in this record (Cu Kα X-rays).
Intensities are scaled so that the largest is 100.

Main lines, sorted by position (10° ≤ 2θ ≤ 90°):
(2 1 0), 2θ 29.2, d 3.054, I 44.0; (1 0 3), 2θ 30.5, d 2.934, I 40.7; (3 0 1), 2θ 34.6, d 2.590, I 55.1; (2 1 2), 2θ 35.0, d 2.564, I 100.0; (2 0 3), 2θ 36.2, d 2.484, I 32.6; (3 2 3), 2θ 57.7, d 1.597, I 37.1